Attività Scientifica

Molti professionisti dell’Ospedale pubblicano articoli scientifici su riviste mediche nazionali e internazionali.

Le ricerche condotte riguardano le aree mediche d’elezione della struttura declinate nei vari aspetti in ambito sanitario:

== Between two parts of the page: molecular data ==
-- begin --
(1)
# C6H11N

A 2-piece molecular cluster, C6H11N overall in a non-equilibrium geometry (wB97M-V/def2-TZVPD, the Open Molecules 2025 dataset).

Atoms and positions in Å:
C1 -1.53224 -0.71886 1.28793
C2 -1.35640 -0.10013 -0.09282
C3 0.04203 0.43041 -0.38830
C4 0.20074 1.00370 -1.78614
C5 1.91554 -0.95426 0.27572
C6 0.70187 1.13927 0.65063
N1 1.48588 1.40487 1.47397
H1 -0.86676 -1.57936 1.40342
H2 -2.56125 -1.06213 1.43393
H3 -1.30201 0.00154 2.08099
H4 -2.09787 0.71011 -0.22364
H5 -1.59549 -0.83096 -0.87321
H6 -0.53339 1.79927 -1.99905
H7 1.19423 1.43084 -1.94229
H8 0.03233 0.21311 -2.52155
H9 2.38863 -0.09478 -0.15439
H10 1.34822 -0.93045 1.18375
H11 2.53593 -1.86219 0.19104

## Properties
**LUMO energy (spin up / spin down)**: -0.1 / -0.5 eV
**Kohn-Sham gap (spin up / spin down)**: 8.65 / 8.53 eV
**Net charge**: 0
**Energy above the lowest of the compared OMol25 structures with the same formula, charge and spin**: 381.3 kJ/mol
**HOMO energy (spin up / spin down)**: -8.75 / -9.01 eV


(2)
# C3HINO

C3HINO as an isolated structure in a non-equilibrium geometry (wB97M-V/def2-TZVPD, the Open Molecules 2025 dataset).

Atoms and positions in Å:
C1 -0.03610 -1.42303 -1.89716
C2 0.42486 0.77591 -0.67835
C3 -0.37705 -0.05147 -1.50153
N1 0.99141 1.27746 0.20617
O1 0.22059 -2.47671 -2.30039
I1 -2.24560 0.39801 -2.34832
H1 1.98583 2.01442 -0.06787

## Properties
**LUMO energy**: -5.9 eV
**Kohn-Sham gap**: 8.14 eV
**Net charge**: +1
**Energy above the lowest of the compared OMol25 structures with the same formula, charge and spin**: 0.0 kJ/mol
**HOMO energy**: -14.08 eV


(3)
# C3H4BeLiO4

C3H4BeLiO4 as an isolated structure in a non-equilibrium geometry (wB97M-V/def2-TZVPD, the Open Molecules 2025 dataset).

Atoms and positions in Å:
H1 -1.06200 -0.22791 1.20055
C1 -0.33683 -0.95494 0.82996
C2 -0.30639 -2.33841 1.28374
O1 -0.83830 -1.95090 0.00342
H2 0.62702 -2.89968 1.23672
H3 -1.04905 -2.67128 2.01213
O2 0.79597 -0.26332 0.38813
H4 1.64851 1.00221 0.88515
O3 -0.14101 1.22773 -1.40068
C3 0.76171 0.88954 -0.68222
Li1 -0.46966 2.92207 -2.20793
Be1 -1.12376 3.62274 -3.59144
O4 1.49378 1.64214 0.04245

## Properties
**LUMO energy**: -4.8 eV
**Kohn-Sham gap**: 9.08 eV
**Net charge**: +1
**HOMO energy**: -13.93 eV


(4)
# BFH6O3Si2

BFH6O3Si2 as an isolated structure (wB97M-V/def2-TZVPD, the Open Molecules 2025 dataset).

Atoms and positions in Å:
O1 -2.06549 -0.87047 -1.69218
B1 -1.21486 0.15077 -1.34281
O2 -0.70372 0.93463 -2.33737
Si1 -0.74525 0.37965 0.63476
F1 -1.64786 1.53535 1.28806
O3 0.82748 0.80886 0.85591
Si2 2.02269 -0.30754 1.13718
H1 -1.78194 -1.72717 -1.35382
H2 -0.78818 1.88338 -2.18790
H3 -1.00120 -0.88437 1.37089
H4 2.20985 -1.14256 -0.07179
H5 1.63012 -1.18852 2.25437
H6 3.25835 0.42798 1.44471

## Properties
**LUMO energy**: 0.5 eV
**Kohn-Sham gap**: 10.45 eV
**Net charge**: 0
**HOMO energy**: -9.98 eV


(5)
# C5H33NO12
-- stop --

– Terapie farmacologiche, chirurgiche e strumentali
– Studi su dispositivi medici
– Ricerca in tecniche diagnostiche
– Studi Epidemiologici

Tutte le pubblicazioni sono reperibili nei giornali delle società medico – scientifiche  a livello nazionale e nei principali database di riferimento per la letteratura scientifica internazionale, quali e

Di seguito, ordinate per specialità medica, sono riportate le pubblicazioni scientifiche, degli ultimi 5 anni, a cura dei ricercatori dell’Ospedale Israelitico, sottolineati ed evidenziati in neretto.

[Inserted here: calculated molecules]
********
67
Properties=species:S:1:pos:R:3 method="wB97M-V/def2-TZVPD" total_charge=0 spin_multiplicity=1 mol_weight_g_mol=589.772 e_homo_ev=-8.10 orbital_gap_ev=8.45 total_energy_ev=-76507.1513 e_above_lowest_kj_mol=2.02 largest_force_ev_per_a=1.66 smiles="Cc1cc(C)c(NC(=O)CSc2nc3ccc(NC(=O)CSc4nnnn4Cc4ccccc4)cc3s2)c(C)c1"
C -1.66044 3.46397 5.47850
C -0.81650 2.27722 5.12287
C 0.56113 2.32854 5.27626
C 1.37597 1.24978 4.96437
C 2.86044 1.36014 5.10659
C 0.77429 0.07722 4.50294
N 1.54984 -1.05927 4.17347
C 2.40447 -1.68625 5.00338
O 2.62645 -1.38241 6.15433
C 3.10090 -2.87959 4.34693
S 4.24666 -2.37307 3.01875
C 3.19016 -2.36188 1.65103
N 1.91237 -2.51607 1.70107
C 1.35246 -2.48948 0.45462
C 0.00121 -2.64638 0.15851
C -0.40567 -2.58556 -1.15374
C 0.51225 -2.37511 -2.19363
N -0.00619 -2.33167 -3.48847
C 0.64242 -2.07123 -4.64766
O 1.82884 -1.87395 -4.77786
C -0.30487 -2.04550 -5.84809
S -1.11748 -0.41748 -6.00912
C -2.35875 -0.57502 -4.82370
N -2.62621 -1.60955 -4.04272
N -3.66921 -1.25320 -3.30404
N -4.05527 -0.08328 -3.57943
N -3.26338 0.39594 -4.54212
C -3.33871 1.73370 -5.06114
C -2.04058 2.45790 -4.79858
C -1.32300 3.03379 -5.83646
C -0.11542 3.66067 -5.58263
C 0.38718 3.70518 -4.29388
C -0.32507 3.13058 -3.25439
C -1.53635 2.51226 -3.50457
C 1.86625 -2.22525 -1.91990
C 2.26778 -2.28416 -0.59927
S 3.88232 -2.13939 0.04281
C -0.60889 0.00748 4.32068
C -1.23423 -1.25104 3.79799
C -1.38544 1.11151 4.63186
H -2.70839 3.27767 5.25791
H -1.33726 4.34243 4.92147
H -1.56428 3.68991 6.53978
H 1.01630 3.23759 5.64327
H 3.15852 2.39962 5.21679
H 3.19176 0.80403 5.98354
H 3.36496 0.93573 4.23897
H 1.35262 -1.51103 3.28200
H 2.38610 -3.57321 3.90643
H 3.71907 -3.38149 5.08994
H -0.70716 -2.82340 0.95169
H -1.45211 -2.69985 -1.39591
H -1.02577 -2.41230 -3.53920
H -1.08355 -2.80365 -5.78636
H 0.27592 -2.15680 -6.76291
H -3.54463 1.69169 -6.13511
H -4.17662 2.21395 -4.54834
H -1.70769 2.98841 -6.84465
H 0.43739 4.10608 -6.39567
H 1.33430 4.18466 -4.09879
H 0.06281 3.16163 -2.24743
H -2.09283 2.06535 -2.69212
H 2.57608 -2.06852 -2.71361
H -0.93385 -2.10780 4.40015
H -2.31824 -1.17526 3.81548
H -0.91867 -1.43142 2.77000
H -2.45653 1.05590 4.49714
********



Molecular data, kept here for reference >
- - -
DFT (wB97M-V/def2-TZVPD) results for 13 unconnected molecules or ions with the total composition C21H68N18O13 in a non-equilibrium geometry.

Element x y z (Å)
C  3.03603  1.65922  1.21411
O  3.59070  0.56776  1.53634
N  3.31992  2.71274  2.01902
N  2.14078  1.74402  0.17511
H  3.92393  2.53516  2.81499
H  2.81259  3.56743  1.93972
H  1.89377  0.90339  -0.30019
H  1.77886  2.64506  -0.06289
C  0.08089  -4.46059  -1.95098
O  0.19149  -5.18973  -0.94109
N  -0.63892  -4.83317  -3.07912
N  0.65485  -3.18985  -1.92130
H  -0.37545  -4.24488  -3.86951
H  -0.89282  -5.80925  -3.18213
H  0.93153  -2.87785  -0.96767
H  0.22168  -2.48642  -2.55104
C  -5.47736  2.67092  -0.83134
O  -4.79671  2.58868  -1.85479
N  -5.06113  3.53871  0.07667
N  -6.59637  1.95959  -0.57159
H  -4.08709  3.76160  -0.05172
H  -5.27449  3.49940  1.03196
H  -7.06553  2.04461  0.32571
H  -6.86985  1.22969  -1.21439
C  -1.46254  3.89314  -2.43026
O  -0.59680  4.61338  -2.99635
N  -1.41213  3.64887  -1.13140
N  -2.57332  3.52362  -3.13508
H  -0.53189  4.01970  -0.66698
H  -1.93284  2.92348  -0.69187
H  -3.40663  3.31841  -2.62713
H  -2.56598  3.79750  -4.07958
C  -5.89124  -0.78331  1.28220
O  -5.63416  -1.21704  0.15479
N  -6.91548  -1.33941  1.98778
N  -5.20065  0.22603  1.83900
H  -7.17115  -2.23252  1.56126
H  -6.92359  -1.32720  2.96348
H  -5.12853  0.33318  2.86086
H  -4.21617  0.39464  1.48097
C  1.04294  1.27673  -2.92889
O  1.48775  0.36381  -2.18995
N  1.62071  2.49154  -3.07925
N  -0.03318  1.06628  -3.70349
H  2.53602  2.72335  -2.66242
H  1.14404  3.22863  -3.63523
H  -0.19631  1.79699  -4.36242
H  -0.74471  0.32313  -3.58829
C  1.77877  5.12214  -0.56171
O  1.09226  4.33669  0.11853
N  3.08962  5.47475  -0.32920
N  1.14561  6.04973  -1.45664
H  3.47215  6.01578  -1.03514
H  3.67258  4.92588  0.25184
H  0.28362  5.54542  -1.75217
H  1.67643  6.33382  -2.26591
C  5.00953  2.09415  -2.57443
O  4.49205  3.13926  -3.01769
N  4.50128  0.86695  -2.53621
N  6.19672  2.09380  -1.78658
H  4.90150  0.32326  -1.78432
H  3.52455  0.75090  -2.61886
H  6.68381  1.21204  -1.90722
H  6.66364  2.97943  -1.91699
C  -2.70364  -1.16040  -2.44113
O  -1.98289  -1.03256  -3.44545
N  -2.80753  -2.42501  -1.81744
N  -3.61453  -0.23957  -1.91003
H  -2.04439  -3.02375  -1.98994
H  -3.23445  -2.41134  -0.91402
H  -4.40114  -0.64530  -1.44347
H  -3.91200  0.58653  -2.52639
C  -3.12470  -4.83881  0.60196
C  -3.92429  -4.39133  1.84612
C  -3.13823  -4.67795  3.11444
O  -4.32864  -3.02505  1.78502
H  -2.62098  -5.78651  0.74038
H  -2.40153  -4.03903  0.46051
H  -3.84987  -4.90873  -0.21945
H  -4.86929  -4.94665  1.89276
H  -2.16362  -4.11717  3.26143
H  -2.98597  -5.73388  3.08774
H  -3.77892  -4.49325  4.02384
H  -4.64182  -2.83516  0.90388
C  3.68770  -2.70269  0.44081
C  4.72676  -2.35252  -0.66943
C  4.26603  -2.63337  -2.11017
O  5.12548  -0.92135  -0.53642
H  2.92954  -1.89665  0.41196
H  4.09636  -2.64863  1.43187
H  3.16314  -3.61305  0.23766
H  5.64152  -2.89210  -0.50087
- - -
So much for the molecular data >

    • Leone G. et al – NEWSLETTER of the Annual Scientific Meeting of the European Society for Photodermatology (ESPD) – Presentazione della prossima Giornata Europea di Fotodermatologia a Milano, 7 Settembre 2022 – Congresso EADV.
    • Leone G. et al – [2024] Leone Photobiology – Exploring the impact of solar radiation on skin microbiome
      to develop improved photoprotection strategies 
    • Gilaberte Y, Piquero-Casals J, Schalka S, Leone G, Brown A, Trullàs C, Jourdan E, Lim HW, Krutmann J, Passeron T. Exploring the impact of solar radiation on skin microbiome to develop improved photoprotection strategies. Photochem Photobiol. 2025 Jan-Feb;101(1):38-52.
    • van Geel N, Speeckaert R, Taïeb A, Ezzedine K, Lim HW, Pandya AG, Passeron T, Wolkerstorfer A, Abdallah M, Alomar A, Bae JM, Bekkenk M, Benzekri L, Böhm M, Eleftheriadou V, Esmat S, Ghia D, Goh BK, Grimes P, Gupta S, Hamzavi IH, Harris JE, Oh SH, Huggins R, Katayama I, Lan E, Lee AY, Leone G, Le Poole C, Lui H, Maquignon N, Meurant JM, Monteiro P, Oiso N, Parsad D, Pliszewski G, Raboobee N, Rodrigues M, Rosmarin D, Suzuki T, Tanemura A, Thng S, Xiang F, Zhou Y, Picardo M, Seneschal J. Worldwide expert recommendations for the diagnosis and management of vitiligo: Position statement from the International Vitiligo Task Force Part 1: towards a new management algorithm. J Eur Acad Dermatol Venereol. 2023 Nov;37(11):2173-2184. 
    • Seneschal J, Speeckaert R, Taïeb A, Wolkerstorfer A, Passeron T, Pandya AG, Lim HW, Ezzedine K, Zhou Y, Xiang F, Thng S, Tanemura A, Suzuki T, Rosmarin D, Rodrigues M, Raboobee N, Pliszewski G, Parsad D, Oiso N, Monteiro P, Meurant JM, Maquignon N, Lui H, Le Poole C, Leone G, Lee AY, Lan E, Katayama I, Huggins R, Oh SH, Harris JE, Hamzavi IH, Gupta S, Grimes P, Goh BK, Ghia D, Esmat S, Eleftheriadou V, Böhm M, Benzekri L, Bekkenk M, Bae JM, Alomar A, Abdallah M, Picardo M, van Geel N. Worldwide expert recommendations for the diagnosis and management of vitiligo: Position statement from the international Vitiligo Task Force-Part 2: Specific treatment recommendations. J Eur Acad Dermatol Venereol. 2023 Nov;37(11):2185-2195. 
    • Post NF, Rodrigues MA, Liong-A-Jin C, Lommerts A, Abdallah M, Bae JM, Bekkenk MW, Silva de Castro CC, Eleftheriadou V, Esmat S, Ezzedine K, van Geel N, Hamzavi I,Leone GPandya AG, Passeron T, Raboobee N, Seneschal J, Steven Th’ngWolkerstorfer A. Consensus on the safety and risks of laser and intense pulse light treatments in patients with vitiligo: An e-Delphi study. Am Acad Dermatol. 2023 Aug;89(2):352-354.
    • Post NF, Van Broekhoven NX, Lommerts A, Bae JM, Bekkenk MW, de Castro CCS, Eleftheriadou V, Esmat S, Ezzedine K, van Geel N, Hamzavi I, Leone G, Pandya AG, Passeron T, Rodrigues MA, Seneschal J, Th’ng S, Wolkerstorfer A. Expert opinion about laser and intense pulsed light (IPL)-induced leukoderma or vitiligo: a cross-sectional survey study. Arch Dermatol Res. 2023 Oct;315(8):2289-2294. 
    • Bertolotti A, Leone GTaïeb A, Soriano E, Pascal M, Maillard H, van Geel N. Assessment of Non-cultured Autologous Epidermal Cell Grafting Resuspended in Hyaluronic Acid for Repigmenting Vitiligo and Piebaldism Lesions: A Randomized Clinical Trial. Acta Derm Venereol. 2021 Jul 30;101(7). 
    • Paro Vidolin A, Leone GEvaluation of the effect of a topical cream containing piperine in inducing repigmentation combined with narrow band UVB phototherapyin patients with vitiligoJOURNAL of PLASTIC and PATHOLOGY DERMATOLOGY vol. 18 – n. 1; 119-128  2022. 
    • Leone G., Vidolin, A. P., Colombo, F., Milani, M. (2024). Auto-Occlusive Lidocaine 7% and Tetracaine 7% Cream has Greater Pain Reduction Effects in Comparison with Lidocaine 4% Cream during Laser CO2 Dermabrasion Procedure in Preparation of Non-Cultured Autologous Epidermal Cell Grafting for Repigmentation in Vitiligo Subjects. An Intrasubject Pilot Evaluation Study. Dearma J Cosmetic Laser Therapy, 3(1), 01- 04. 2024.
    • J.H.Hagman, P.Piemonte, P.Casareale, G.Pagnanelli, A.ParoVidolin, G.Nini. Dermatomiosite paraneoplastica e carcinoma a cellule transizionali dell’ovaio Derm.Clin N.1/1998. 
    • S.Gatti, G.Pagnanelli, P.Piemonte, A.ParoVidolin, E.Campione, R.Soda   Vasculite leucocitoclasica crioglobulinemia epatite C Dermatologia clinica N.4 ottobre-dicembre 1998. 
    • AM.Carrozzo, S.Gatti, G.Ferranti, G.Primavera, A.ParoVidolin, G.Nini Calcipotriol treatment of confluent and reticulated papillomatosis –Gougerot-Carteaud syndrome  JEADV (2000) 14,131-133.
    • I.De Simoni P.Piemonte, A.ParoVidolin, S.Gatti, S.Chimenti  Fibroma pendulo gigante Int.J.Imm.Phar.Marzo/Giugno 2000;13,117. 
    • J.Hagman, E.Campione, AM.Carrozzo, A.ParoVidolin, S.Chimenti  Pioderma gangrenoso ed immunoglobuline umane endovena ad alte dosi  Int.J.Imm.Phar.Marzo/Giugno 2000;13,119. 
    • L.Bianchi, A.ParoVidolin, P.Piemonte, I.Carboni, S.Chimenti  Graham Little-Piccardi-Lassueur syndrome: effective treatment with cyclosporin A Clinical and Experimental Dermatology 2001; 26,518-520. 
    • J.H.Hagman, L.Bianchi, E.Campione, A.ParoVidolin, S.Chimenti Dermatomyositis associated with ovarian transitional cell carcinoma JAAD 2001;45:642-644.
    • R.Soda, A.ParoVidolin, L.Bianchi, S.Chimenti   A 2-year history of asymptomatic scalp nodule Arch Dermatol 2001.  
    • G.Leone,P Iacovelli, A.ParoVidolin, M.Picardo  Monochromatic Excimer Light in the treatment of Vitiligo: a pilot study..JEADV 2003;17,531-537. 
    • P.Iacovelli, G.Leone, A.ParoVidolin  Gestione del paziente con Vitiligine.. Dermatologia Ambulatoriale. AnnoXI N°I Gennaio-Marzo 2003. 
    • Diagnosis of pigmented skin lesions by dermoscopy: web based training improves diagnostic performance of non-experts Pagnanelli G et al.Br J Dermatol.2003 Apr;148(4):698-702. 
    • P.Iacovelli, A.ParoVidolin, G.Leone.  Méta-analyse de la photothèrapie du vitiligo Les Nouvelles Dermatologiques. Volume 22 N°6-Cahier 1, Juin 2003. 
    • P.Iacovelli, J.Sinagra, A.ParoVidolin, S.Marenda, B.Capitanio, G.Leone, M.Picardo  Relevance of Thyroiditis and of Other Autoimmune Diseases in Children with Vitiligo Dermatology 2005;210:26-30. 
    • Leone G, Pacifico A, Iacovelli P, Paro Vidolin A, Picardo M  Tacalcitol and narrow-band phototherapy in patients with vitiligo Clin Exp Dermatol. 2006; 31:200-5. 
    • Casacci M, Thomas P, Pacifico A, Bonnevalle A, A.ParoVidolin, Leone G Comparison between 308 nm monochromatic excimer light and narrow band UVB phototherapy (311-313nm) in the treatment of vitiligo. A multicenter controlled study. J Eur Acad Dermatol Venereol 2007; 21: 956-63 
    • Dell’Anna ML, Ottaviani M, Albanesi V, A.ParoVidolin, Leone G, Ferraro C, Cossarizza A, Rossi L, Picardo M.   Membrane lipid alterations as a possible basis for melanocyte degeneration in vitiligo. J Invest Dermatol 2007;  127: 1226-1233 
    • Dell’Anna ML, Mastrofrancesco A, Sala R, Venturini M, Ottaviani M, A.ParoVidolin, Leone G, Calzavara PG, Westerhof W, Picardo M.   Antioxidants and narrow band UVB in the treatment of vitiigo: a double blind placebo controlled trial. Clinical Exp Dermatol 2007; 32: 631-636 
    • Efficacy of tacalcitol ointment and 308 nm monochromatic excimer light (308 nm MEL) in the treatment of persistent plaque psoriasis.  Pacifico A, Di Carlo A, A.ParoVidolin, Leone G. J Am Acad Dermatol 2008; 58 (Suppl 2): AB4 
    • A.ParoVidolin, Pacifico A, Iacovelli P, Leone G Utilizzo di un nuovo kit commerciale nel trapianto autologo di sospensione cellulare epidermica nella vitiligine. Esperienze Dermatologiche 2014; 16 (4):179-82 
    • G.Leone, A.ParoVidolin. Effect of an antioxydant cream versus placebo in patients with vitiligo in association with excimer laser. G Ital.Dermatol.Venereol.2015;150:461-6 
    • Pacifico A, Leone G, Ferraro C, A.ParoVidolin, Muscardin L.  Indeterminate cellhystiocitisis: a case treated with ultraviolet B narrow band phototherapy. Photodermatol Photoimmunol Photomed 2017;33:329-333 
    • A.ParoVidolin, Aurizi C, Leone G Phototherapy for vitiligo, what’s new? G Ital dermatol Venereol 2017; 152(5):474-88 
    • A.ParoVidolin, L .Barbieri, C. Aurizi. A. Macrì, G. Leone Narrowband UVB phototherapy in EPP: A retrospective review of patient experience. Photodermatol Photoimmunol Photomed 2017;33:347-350. 
    • A.ParoVidolin, L. Barbieri, C. Aurizi, G. Leone Combination of Excimer Lamp and conventional NB UVB phototherapy in psoriasis. Photodermatol Photoimmunol Photomed 2018;34:354-357. 
    • A.ParoVidolin, G. Leone Dedicated photoprotection in dermatology.Journal of Plastic and Pathology Dernmatology, Special Issue-n 1-2021. 
    • A.ParoVidolin Acne:PDT o Fototerapia ? Scelta guidata in base al meccanismo di azione. Italian Journal of Dermatology and Venereology.2021 Vol.156-Suppl.1 to N.5.
    • Giovanni Leone, A.ParoVidolin, Francesca Colombo and Massimo Milani. Auto-Occlusive Lidocaine 7% and Tetracaine 7% Cream has Greater Pain Reduction Effects in Comparasion with Lidocaine 4% Cream during Laser CO2 Dermabrasion Procedure in Preparation of Non-Cultured Autologous Epidermal Cell Grafting for Repigmentation in Vitiligo Subjects.An Intrasubject Pilot Evaluation Study. Dermatology Journal of Cosmetic and Laser Therapy.2024 Volumr 3.Issue 1/4 . 





    • Giovanni Paolino, MD, PhD, Santo Raffaele Mercuri, MD, Boulos Mansour, MD, Matteo Riccardo Di Nicola, MSc, Manuela Carrera, MD, Silvia Taccogna, MD, Vittoria Giulia Bianchi, MD, Pietro Donati, MD, and Michele Donati, MD, PhDb, Plaque-type verrucous porokeratosis of the back –JAAD Case Reports 2022 Volume 29